Problem is that the basic Christendom mentality continues among members. In Christendom one cannot try to understand things such as the Trinity, transubstantiation, incarnation ...etc, for the attempt
might destroy it. In JW atmosphere, who would dare to ask: "How can heavenly calling start from certain date and end with certain date? What is the proof that a few men in WT corporation were appointed by Christ when he came to inspect his temple after Gentile Times? ...
Posts by venus
Why dont practicing JWS cant accept the fact that the Watchtower Corporation is a commercialized false prophet ?
by Finkelstein into the majority of people who investigate the activities of the wts from its beginning history there were obvious false proclamations and doctrines propagated by the wts.. a matter of fact the wts produced a long list of literature that posted proclamations on the front cover and went into detail of things that were suppose to happen, from jesus returning changing the world in which we live and so on.. wonderful things one might say but not factual or either theologically correct .
Why dont practicing JWS cant accept the fact that the Watchtower Corporation is a commercialized false prophet ?
by Finkelstein into the majority of people who investigate the activities of the wts from its beginning history there were obvious false proclamations and doctrines propagated by the wts.. a matter of fact the wts produced a long list of literature that posted proclamations on the front cover and went into detail of things that were suppose to happen, from jesus returning changing the world in which we live and so on.. wonderful things one might say but not factual or either theologically correct .
I find ego at the root of not changing. It is the fear of image: What would people think of me--I was so zealous about JW teaching, and I am not now--what does this tell about my judging ability?
Why "Most high"?
by Doug Mason inif there were only one god, why do we encounter the expression, "most high god"?.
## Here the page breaks off for data records
┌──
21 unconnected molecules or ions with the total composition C81H105Br12N9O18 in a non-equilibrium geometry, computed with ωB97M-V/def2-TZVPD.

Calculated values
- Max |F|: 0.1287 hartree/bohr
- Frontier orbital gap: 9.43 eV
- Molar mass: 2451.62 g/mol
- Charge: 0

```
225
Properties=species:S:1:pos:R:3:forces:R:3
C 2.406 -16.590 22.591 -0.438 0.210 0.850
C 1.118 -16.034 23.318 3.252 -1.415 -0.413
C 0.697 -14.691 22.827 1.181 1.536 1.407
O -0.576 -14.894 22.334 -1.271 0.698 -1.254
C -0.881 -16.187 22.333 -0.315 -0.960 0.079
O -1.885 -16.690 21.953 -0.288 0.225 -0.239
O 0.138 -16.885 22.865 -1.950 -1.265 -0.366
H 2.383 -17.679 22.642 0.124 -0.009 0.476
H 3.334 -16.217 23.024 -0.013 0.021 -0.060
H 2.392 -16.401 21.518 -0.169 0.541 0.015
H 1.170 -16.161 24.399 0.322 0.323 0.079
H 1.444 -14.307 22.133 -0.498 0.058 -0.599
H 0.610 -13.949 23.621 0.136 -0.020 0.118
C 7.036 -17.059 26.844 0.117 0.939 -0.894
C 6.131 -15.770 26.724 1.033 -1.985 0.696
C 5.142 -15.717 25.545 2.466 0.920 -0.791
O 3.882 -15.754 26.127 -0.684 -0.559 -0.269
C 3.978 -15.805 27.457 -2.047 -0.197 2.772
O 2.980 -15.808 28.183 2.954 0.010 -1.721
O 5.283 -15.861 27.875 -2.130 0.568 -0.364
H 7.751 -17.129 26.024 0.082 0.376 -0.201
H 6.492 -18.001 26.784 -0.528 0.278 0.308
H 7.633 -17.019 27.754 -0.254 0.041 0.124
H 6.728 -14.866 26.852 0.016 -0.077 -0.216
H 5.434 -16.457 24.800 -0.884 -0.742 0.253
H 5.257 -14.794 24.977 -0.122 0.321 0.215
C 8.952 -21.103 28.831 0.979 0.631 0.417
C 10.170 -21.615 29.611 -1.302 0.767 -1.515
C 10.041 -23.018 30.054 -2.350 -0.466 1.727
O 11.204 -23.609 29.749 4.025 -1.678 -1.462
C 11.947 -22.821 28.928 0.387 -0.639 -0.965
O 12.981 -23.059 28.375 -0.267 -0.539 0.743
O 11.292 -21.694 28.702 -0.647 1.534 0.995
H 8.222 -20.877 29.608 -0.559 -0.038 -0.503
H 8.608 -21.735 28.012 -0.107 -0.514 0.476
H 9.245 -20.191 28.311 -0.071 0.355 0.287
H 10.293 -21.008 30.507 0.844 0.596 -0.388
H 9.204 -23.521 29.569 -0.094 -0.194 -0.019
H 9.984 -23.130 31.137 -0.767 0.243 0.079
C 2.661 -18.153 18.756 0.532 -0.096 -0.444
C 3.160 -19.559 18.390 -1.253 -0.382 0.082
C 2.596 -20.619 19.310 0.534 -0.557 1.468
O 2.087 -21.687 18.481 0.537 -0.184 4.232
C 2.118 -21.272 17.297 -0.875 -1.388 -6.412
O 1.769 -21.961 16.339 0.532 1.359 1.497
O 2.599 -20.038 17.152 0.342 1.187 -0.581
H 2.419 -17.603 17.846 0.030 -0.015 -0.013
H 3.422 -17.583 19.290 0.103 -0.092 0.029
H 1.772 -18.187 19.386 -0.043 -0.114 -0.120
H 4.238 -19.712 18.346 0.073 0.634 -0.162
H 1.774 -20.283 19.942 0.200 0.027 -0.022
H 3.451 -20.994 19.872 -0.549 -0.372 0.497
C 0.852 -18.149 27.638 -1.331 -0.304 -0.780
C 1.308 -19.406 26.869 -0.380 1.321 1.163
C 0.964 -19.548 25.372 -0.823 -0.861 1.410
O 2.181 -19.348 24.714 1.870 1.009 -0.335
C 3.227 -19.209 25.611 -0.823 -0.613 0.825
O 4.400 -19.140 25.360 -1.372 0.205 -0.172
O 2.697 -19.246 26.871 2.708 -0.277 -1.384
H 0.943 -17.230 27.059 0.656 -0.046 -0.072
H 1.403 -18.078 28.576 -0.096 0.081 -0.178
H -0.222 -18.178 27.819 -0.128 -0.321 0.381
└──
is this not indicative of polytheism, and of levels (or degrees) of god-ness?.
doug .
Most High is a phrase people applied to God, hence we can't blame God. Again people depicted God as looking for worship, as though He is in some need. This reminds me of Plato who wrote: "The god of love lives in a state of need. It is a need, it is an urge, it is a homeostatic imbalance. Like hunger and thirst, it's almost impossible to stamp out."
But God must be much better than humans!
Can someone tell me why Joan's ark and the flood not true and impossible?
by Gokumonkey inhey everyone.
i have a question and i hope i'm not confusing this with something else i heard.
while watching ex jw videos on youtube many of them talk about how noah's ark and the flood didn't happen and it's impossible.
Wow, what a wealth of information you notsurewheretogo
provided. None of the eleven points can be refuted!
Can someone tell me why Joan's ark and the flood not true and impossible?
by Gokumonkey inhey everyone.
i have a question and i hope i'm not confusing this with something else i heard.
while watching ex jw videos on youtube many of them talk about how noah's ark and the flood didn't happen and it's impossible.
Difficulty with Noah's flood is because its source is the Babylonian myth of Uta-Napisthim and also it is known from the older mythologies of several cultures.
Why "Most high"?
by Doug Mason inif there were only one god, why do we encounter the expression, "most high god"?.
is this not indicative of polytheism, and of levels (or degrees) of god-ness?.
doug .
In the Bible, one can take things literally and figuratively. I take most of the things figuratively, and I benefit because of that.
The expression Most High is rich in meaning. It suggests that we are all His children, spirits in human costumes, whereas He is the Supreme Spirit, hence Most High.
Similarly, when I read the account of Adam and Eve, I apply the same logic. Behind the details, there is some interesting lesson. See the automatic response in Adam and Eve after they sinned: They immediately felt ashamed and hid themselves which defines sin as something that makes one feel no longer worthy of God’s love, care and protection (not that they felt they were naked physically).
Can someone tell me why Joan's ark and the flood not true and impossible?
by Gokumonkey inhey everyone.
i have a question and i hope i'm not confusing this with something else i heard.
while watching ex jw videos on youtube many of them talk about how noah's ark and the flood didn't happen and it's impossible.
Even if Noah’s ark is scientifically possible with a bigger vessel that takes care of 8.7 million species, theologically it is not possible for God to handle a situation that puts greater hardship on the righteous than on the wicked who died in a few minutes after getting drown in the water.
However, if we look beneath the details, story tells God intervenes when it is necessary. God’s established practice is “Let the one who does wrong continue to do wrong; let the vile person continue to be vile.” (Revelation 22:11) This would mean that there is no intervention in the case of individuals and in each individual cases of free-will use; and it would also mean there would be a time when the righteous would find life is impossible because of the increasing number of the wicked (according to Law of increasing entropy). God, being the master of the universe, would need to act only on whole sale basis, hence would restore the original perfect condition, says logic (and also scriptures Rev 21:1, 5. Law of increasing entropy would again set things into a downhill trend, which would mean God would renew system of things again.
The above view takes care of the principle on which both theism and atheism stand: Theism says “From the more comes the less,” and atheism says “from the less comes the more.” Thus both agree that something comes from something. If something comes from something, it has always been true, it has always been there—infinite into the past and infinite into the future.
Common Figure of Speech/Colloquialism?
by rstrats in1. the messiah said that three nights would be involved with his time in the "heart of the earth".. 2. there are some who believe that the crucifixion took place on the 6th day of the week with the resurrection taking place on the 1st day of the week.. 3. of those, there are some who believe that the "heart of the earth" is referring to the tomb.. 4. however, those two beliefs allow for only 2 nights to be involved.. 5. to account for the discrepancy, some of the above say that the messiah was using common figure of speech/colloquial language of the time, i.e., that it is was common to forecast or say that a day or a night would be involved with an event when no part of the day or no part of the night could occur.. 6. in order for someone to legitimately say that it was common, they would have to know of more that 1 example to make that assertion.. 6. for the purpose of this topic, i would like to ask if there are any 6th day of the week crucifixion advocates who think the messiah was employing common figure of speech/colloquial language of the period?.
Problem is not about common figure of speech. Truth is that Jesus got it wrongly, or Jonah's account was later addition for which writers were seeking endorsement through the mouth of Jesus.
This is similar to Jesus referring to Noah's day. In Noah's days violence plummeted; yet Jesus was not aware of this fact because he said: "As it was in the days of Noah, so it will be at the coming of the Son of Man. 38 For in the days before the flood, people were eating and drinking, marrying and giving in marriage, up to the day Noah entered the ark." (Mathew 24:37, 38)
Why such discrepancies? Richard Dwakins has got it correctly: “To be fair, much of the Bible is not systematically evil but just plain weird, as you would expect of a chaotically cobbled-together anthology of disjointed documents, composed, revised, translated, distorted and 'improved' by hundreds of anonymous authors, editors and copyists, unknown to us and mostly unknown to each other, spanning nine centuries." (God Delusion)
You may PRETEND to care - in reality you are SELFISH!
by wannabefree inthat;s what my wife (and all jw's) gets to hear about us at the kingdom hall today, (hmmmm, i wonder if she'll raise her hand to answer this one) ... .
watchtower study ... today, apostates and others who create divisions in the congregation use “smooth talk and flattering speech.” (romans 16:17, 18) they may pretend to care about others, but in reality, they are selfish.. (the watchtower - study edition (simplified version) 10/17 page 4 paragraph 7).
_Morpheus & Finkelstein summed it up very nicely—absolutely correct. Their care is conditional--they care as long as you care for them, which is not care/love at all (Mathew 5:44-48). Thus those who understood the truth about "the truth" would naturally care for those trapped in "truth" which is the real care.
This sums Wt up to a "T"
by joe134cd injust saw this on you tube.
although he is talking about religion generally and from a christian perspective.
it very much sums up the transition wt is going through..
What he says is correct. Religions have been reduced into mere social clubs. Many are realising now that people can live without religion but religion cannot live without people. Even during my school days I realised that religion is not needed because I am created in God's image--there is a divine spark in me that sustains my body.
I understood people have varying responses to others' action which shows people create their emotions such as unhappiness and happiness, depression and joyfulness, anger and contentment ...
I create happiness
I create moving pictures in mind--even while sleeping (dream)
I created my body
If such a great power resides in my body, it is a divine spark--exact representation of God's very being. Hence why do I need guidance of religion? I can always turn to my soul within.